## Source
No. 1
Computed X-ray powder pattern of CuHg3F4 for Cu Ka, from the PBE geometry in Alexandria.
Lines closer than 0.1° are merged.

Most intense lines, 2θ from 10° to 90°, in order of rising 2θ:
d [Å]	2θ (°)	I (rel.)	h k l
6.893	12.8	37	0 1 0
3.505	25.4	54	1 0 1
3.447	25.8	45	0 2 0
3.297	27.0	45	1 2 0
3.251	27.4	100	0 1 1
2.827	31.6	81	4 0 0
2.818	31.7	72	2 1 1
2.518	35.7	77	0 2 1
2.133	42.4	68	4 1 1
1.880	48.4	46	4 2 1

Structure:
```
data_CuHg3F4
_chemical_formula_sum 'Cu2 Hg6 F8'
_cell_length_a 11.309
_cell_length_b 6.893
_cell_length_c 3.687
_cell_angle_alpha 90.00
_cell_angle_beta 90.00
_cell_angle_gamma 90.00
_space_group_name_H-M_alt 'P m n 21'
_space_group_IT_number 31
loop_
_space_group_symop_operation_xyz
'x,y,z'
'-x+1/2,-y,z+1/2'
'-x,y,z'
'x+1/2,-y,z+1/2'
loop_
_atom_site_label
_atom_site_type_symbol
_atom_site_fract_x
_atom_site_fract_y
_atom_site_fract_z
Cu1 Cu 0.000 0.123 0.000
Hg1 Hg 0.000 0.648 0.890
Hg2 Hg 0.231 0.698 0.031
F1 F 0.000 0.317 0.613
F2 F 0.000 0.938 0.394
F3 F 0.169 0.128 0.000
```



No. 2
Computed X-ray powder pattern of CeY2PaTc2 for Cu Ka, from the PBE geometry in Alexandria.
Lines closer than 0.1° are merged.

Most intense lines, 2θ from 10° to 90°, in order of rising 2θ:
d [Å]	2θ (°)	I (rel.)	h k l
6.693	13.2	100	0 2 0
6.120	14.5	26	1 1 0
3.060	29.2	55	2 2 0
3.020	29.6	56	0 2 2
2.750	32.6	53	1 4 1
2.413	37.3	90	2 0 2
2.399	37.5	39	2 4 0
2.379	37.8	38	0 4 2
2.270	39.7	31	2 2 2
1.872	48.6	17	2 6 0

Structure:
```
data_CeY2PaTc2
_chemical_formula_sum 'Ce4 Y8 Pa4 Tc8'
_cell_length_a 6.881
_cell_length_b 13.386
_cell_length_c 6.767
_cell_angle_alpha 90.00
_cell_angle_beta 90.00
_cell_angle_gamma 90.00
_space_group_name_H-M_alt 'I b a m'
_space_group_IT_number 72
_space_group_name_Hall '-I 2 2c'
loop_
_atom_site_label
_atom_site_type_symbol
_atom_site_fract_x
_atom_site_fract_y
_atom_site_fract_z
Ce1 Ce 0.000 0.000 0.250
Y1 Y 0.212 0.308 0.000
Pa1 Pa 0.000 0.500 0.250
Tc1 Tc 0.227 0.408 0.500
```



No. 3
Computed X-ray powder pattern of Mg4HgRh for Cu Ka, from the PBE geometry in Alexandria.
Lines closer than 0.1° are merged.

Most intense lines, 2θ from 10° to 90°, in order of rising 2θ:
d [Å]	2θ (°)	I (rel.)	h k l
4.934	18.0	90	1 1 -1
3.934	22.6	93	0 2 1
3.711	24.0	89	2 0 0
3.536	25.2	100	1 3 0
3.243	27.5	65	2 2 -1
2.634	34.0	45	3 1 -1
2.361	38.1	61	2 2 1
2.316	38.9	63	1 3 -2
2.295	39.3	48	1 5 0
1.922	47.3	63	4 0 -2

Structure:
```
data_Mg4HgRh
_chemical_formula_sum 'Mg16 Hg4 Rh4'
_cell_length_a 8.120
_cell_length_b 12.065
_cell_length_c 5.678
_cell_angle_alpha 90.00
_cell_angle_beta 113.94
_cell_angle_gamma 90.00
_space_group_name_H-M_alt 'C 1 2/c 1'
_space_group_IT_number 15
loop_
_space_group_symop_operation_xyz
'x,y,z'
'-x,-y,-z'
'-x,y,-z+1/2'
'x,-y,z+1/2'
'x+1/2,y+1/2,z'
'-x+1/2,-y+1/2,-z'
'-x+1/2,y+1/2,-z+1/2'
'x+1/2,-y+1/2,z+1/2'
loop_
_atom_site_label
_atom_site_type_symbol
_atom_site_fract_x
_atom_site_fract_y
_atom_site_fract_z
Mg1 Mg 0.108 0.174 0.066
Mg2 Mg 0.219 0.424 0.339
Hg1 Hg 0.000 0.372 0.750
Rh1 Rh 0.000 0.002 0.250
```



No. 4
Computed X-ray powder pattern of Li3Er2Au4 for Cu Ka, from the PBE geometry in Alexandria.
Lines closer than 0.1° are merged.

Most intense lines, 2θ from 10° to 90°, in order of rising 2θ:
d [Å]	2θ (°)	I (rel.)	h k l
3.817	23.3	50	0 0 2
3.804	23.4	22	1 -1 1
3.460	25.7	26	1 0 1
3.418	26.1	18	0 1 -2
2.638	34.0	28	0 1 2
2.609	34.4	68	1 1 -1
2.291	39.3	100	2 -1 0
2.286	39.4	65	1 -1 3
2.263	39.8	26	0 2 -2
1.730	52.9	16	2 0 2

Structure:
```
data_Li3Er2Au4
_chemical_formula_sum 'Li3 Er2 Au4'
_cell_length_a 4.583
_cell_length_b 5.327
_cell_length_c 7.915
_cell_angle_alpha 103.48
_cell_angle_beta 90.04
_cell_angle_gamma 115.35
_space_group_name_H-M_alt 'P -1'
_space_group_IT_number 2
loop_
_space_group_symop_operation_xyz
'x,y,z'
'-x,-y,-z'
loop_
_atom_site_label
_atom_site_type_symbol
_atom_site_fract_x
_atom_site_fract_y
_atom_site_fract_z
Li1 Li 0.000 0.000 0.000
Li2 Li 0.369 0.738 0.468
Er1 Er 0.250 0.501 0.790
Au1 Au 0.084 0.166 0.361
## To do
Could you type out the whole of the data further up character by character?
## Response
No. 1
Computed X-ray powder pattern of CuHg3F4 for Cu Ka, from the PBE geometry in Alexandria.
Lines closer than 0.1° are merged.

Most intense lines, 2θ from 10° to 90°, in order of rising 2θ:
d [Å]	2θ (°)	I (rel.)	h k l
6.893	12.8	37	0 1 0
3.505	25.4	54	1 0 1
3.447	25.8	45	0 2 0
3.297	27.0	45	1 2 0
3.251	27.4	100	0 1 1
2.827	31.6	81	4 0 0
2.818	31.7	72	2 1 1
2.518	35.7	77	0 2 1
2.133	42.4	68	4 1 1
1.880	48.4	46	4 2 1

Structure:
```
data_CuHg3F4
_chemical_formula_sum 'Cu2 Hg6 F8'
_cell_length_a 11.309
_cell_length_b 6.893
_cell_length_c 3.687
_cell_angle_alpha 90.00
_cell_angle_beta 90.00
_cell_angle_gamma 90.00
_space_group_name_H-M_alt 'P m n 21'
_space_group_IT_number 31
loop_
_space_group_symop_operation_xyz
'x,y,z'
'-x+1/2,-y,z+1/2'
'-x,y,z'
'x+1/2,-y,z+1/2'
loop_
_atom_site_label
_atom_site_type_symbol
_atom_site_fract_x
_atom_site_fract_y
_atom_site_fract_z
Cu1 Cu 0.000 0.123 0.000
Hg1 Hg 0.000 0.648 0.890
Hg2 Hg 0.231 0.698 0.031
F1 F 0.000 0.317 0.613
F2 F 0.000 0.938 0.394
F3 F 0.169 0.128 0.000
```



No. 2
Computed X-ray powder pattern of CeY2PaTc2 for Cu Ka, from the PBE geometry in Alexandria.
Lines closer than 0.1° are merged.

Most intense lines, 2θ from 10° to 90°, in order of rising 2θ:
d [Å]	2θ (°)	I (rel.)	h k l
6.693	13.2	100	0 2 0
6.120	14.5	26	1 1 0
3.060	29.2	55	2 2 0
3.020	29.6	56	0 2 2
2.750	32.6	53	1 4 1
2.413	37.3	90	2 0 2
2.399	37.5	39	2 4 0
2.379	37.8	38	0 4 2
2.270	39.7	31	2 2 2
1.872	48.6	17	2 6 0

Structure:
```
data_CeY2PaTc2
_chemical_formula_sum 'Ce4 Y8 Pa4 Tc8'
_cell_length_a 6.881
_cell_length_b 13.386
_cell_length_c 6.767
_cell_angle_alpha 90.00
_cell_angle_beta 90.00
_cell_angle_gamma 90.00
_space_group_name_H-M_alt 'I b a m'
_space_group_IT_number 72
_space_group_name_Hall '-I 2 2c'
loop_
_atom_site_label
_atom_site_type_symbol
_atom_site_fract_x
_atom_site_fract_y
_atom_site_fract_z
Ce1 Ce 0.000 0.000 0.250
Y1 Y 0.212 0.308 0.000
Pa1 Pa 0.000 0.500 0.250
Tc1 Tc 0.227 0.408 0.500
```



No. 3
Computed X-ray powder pattern of Mg4HgRh for Cu Ka, from the PBE geometry in Alexandria.
Lines closer than 0.1° are merged.

Most intense lines, 2θ from 10° to 90°, in order of rising 2θ:
d [Å]	2θ (°)	I (rel.)	h k l
4.934	18.0	90	1 1 -1
3.934	22.6	93	0 2 1
3.711	24.0	89	2 0 0
3.536	25.2	100	1 3 0
3.243	27.5	65	2 2 -1
2.634	34.0	45	3 1 -1
2.361	38.1	61	2 2 1
2.316	38.9	63	1 3 -2
2.295	39.3	48	1 5 0
1.922	47.3	63	4 0 -2

Structure:
```
data_Mg4HgRh
_chemical_formula_sum 'Mg16 Hg4 Rh4'
_cell_length_a 8.120
_cell_length_b 12.065
_cell_length_c 5.678
_cell_angle_alpha 90.00
_cell_angle_beta 113.94
_cell_angle_gamma 90.00
_space_group_name_H-M_alt 'C 1 2/c 1'
_space_group_IT_number 15
loop_
_space_group_symop_operation_xyz
'x,y,z'
'-x,-y,-z'
'-x,y,-z+1/2'
'x,-y,z+1/2'
'x+1/2,y+1/2,z'
'-x+1/2,-y+1/2,-z'
'-x+1/2,y+1/2,-z+1/2'
'x+1/2,-y+1/2,z+1/2'
loop_
_atom_site_label
_atom_site_type_symbol
_atom_site_fract_x
_atom_site_fract_y
_atom_site_fract_z
Mg1 Mg 0.108 0.174 0.066
Mg2 Mg 0.219 0.424 0.339
Hg1 Hg 0.000 0.372 0.750
Rh1 Rh 0.000 0.002 0.250
```



No. 4
Computed X-ray powder pattern of Li3Er2Au4 for Cu Ka, from the PBE geometry in Alexandria.
Lines closer than 0.1° are merged.

Most intense lines, 2θ from 10° to 90°, in order of rising 2θ:
d [Å]	2θ (°)	I (rel.)	h k l
3.817	23.3	50	0 0 2
3.804	23.4	22	1 -1 1
3.460	25.7	26	1 0 1
3.418	26.1	18	0 1 -2
2.638	34.0	28	0 1 2
2.609	34.4	68	1 1 -1
2.291	39.3	100	2 -1 0
2.286	39.4	65	1 -1 3
2.263	39.8	26	0 2 -2
1.730	52.9	16	2 0 2

Structure:
```
data_Li3Er2Au4
_chemical_formula_sum 'Li3 Er2 Au4'
_cell_length_a 4.583
_cell_length_b 5.327
_cell_length_c 7.915
_cell_angle_alpha 103.48
_cell_angle_beta 90.04
_cell_angle_gamma 115.35
_space_group_name_H-M_alt 'P -1'
_space_group_IT_number 2
loop_
_space_group_symop_operation_xyz
'x,y,z'
'-x,-y,-z'
loop_
_atom_site_label
_atom_site_type_symbol
_atom_site_fract_x
_atom_site_fract_y
_atom_site_fract_z
Li1 Li 0.000 0.000 0.000
Li2 Li 0.369 0.738 0.468
Er1 Er 0.250 0.501 0.790
Au1 Au 0.084 0.166 0.361